
I wonder if this is NGE music on purpose...

Cheating on single player: do the heck you want. Cheating on multiplayer: just no. It's like doping in sports. You make yourself better in a competition with other people.

If I remember correctly there were rules for some sports that tatoos needed to be covered up. Though after all that sweating the make up didn’t last very long anyhow. I think it even was during London’s Olympic Games.

Actually don’t try to think to hard about this. Violent games are brought up every time when there is a shooting that fits the single, grumpy and depressed teenager schmeme. At first I thought, ugh they really try to make this a thing again, but so far the discussion was fair and more focused on the question how he

That’s typography in general. It’s not that game fonts have their own rules.

**Records of molecules, kept here for reference:**
~~~
{
  "formula": "C4H6NOP",
  "method": "the ωB97M-V functional and the def2-TZVPD basis",
  "elements": ["C", "C", "C", "C", "N", "O", "P", "H", "H", "H", "H", "H", "H"],
  "xyz": [[0.9960, 0.9153, -0.3598], [1.5493, -0.4109, -0.3924], [-0.2610, 1.3230, -0.6557], [0.7632, -1.5306, -0.4538], [-1.4009, -0.3580, 1.3462], [-1.3354, 0.5354, -1.0014], [-1.6394, -0.9413, -0.3032], [1.6961, 1.6030, -0.2096], [2.6388, -0.5904, -0.3834], [-0.4153, 2.3502, -0.7436], [0.9461, -2.5339, -0.5245], [-1.7865, 0.6327, 1.6608], [-1.7508, -0.9944, 2.0203]],
  "forces_ev_per_a": [[-3.15, -2.19, -1.04], [-1.41, -3.62, -0.12], [1.79, -1.93, 0.19], [-2.81, 4.70, 0.44], [-1.26, 2.45, -0.15], [-0.17, -0.08, -0.01], [4.19, 1.13, 1.06], [2.43, 3.33, 0.65], [-0.47, 0.53, 0.02], [-0.76, 1.46, -0.13], [0.91, -2.24, -0.21], [1.00, -2.72, -1.43], [-0.30, -0.84, 0.73]],
  "mulliken_charge": [-0.101, -0.043, -0.478, -0.836, -0.520, -0.366, 0.263, 0.467, 0.300, 0.405, 0.431, 0.250, 0.228],
  "lumo_energy_ha": 0.0206,
  "homo_energy_ev": -8.03,
  "gap_ha": 0.3157,
  "e_above_lowest_kcal_mol": 46.3
}

***

{
  "formula": "C4H6NOPS",
  "method": "the ωB97M-V functional and the def2-TZVPD basis",
  "elements": ["O", "C", "S", "C", "C", "C", "N", "P", "H", "H", "H", "H", "H", "H"],
  "xyz": [[2.9553, -2.3336, 0.1843], [2.3512, -1.2612, 0.1083], [3.2726, 0.2443, -0.2638], [1.7555, 1.2728, -0.3894], [0.7125, 0.5622, 0.4010], [0.9772, -0.9221, 0.2518], [0.0725, -2.0793, -0.0020], [-1.4861, -2.0370, -0.4471], [1.4527, 1.3306, -1.4304], [1.9974, 2.3527, -0.0582], [-0.2580, 0.7236, 0.1146], [0.7276, 0.6471, 1.4554], [-2.4228, -1.2796, 0.4631], [-1.6631, -3.4114, 0.2341]],
  "forces_ev_per_a": [[-1.69, 1.98, -0.03], [3.87, -1.96, -0.07], [-0.45, 0.10, 0.03], [1.32, 1.92, 0.16], [0.80, -2.61, 0.32], [-5.85, -5.61, -1.82], [6.46, 6.86, 1.89], [-2.72, -2.05, 1.08], [0.03, -0.03, -0.12], [-0.47, -1.82, -0.30], [-2.45, 0.85, -0.92], [0.38, 0.96, 1.33], [1.22, -0.47, -0.49], [-0.46, 1.86, -1.06]],
  "mulliken_charge": [-0.551, 0.439, -0.120, -0.523, -0.621, 0.286, -0.270, -0.131, 0.315, 0.311, 0.411, 0.296, 0.058, 0.100],
  "lumo_energy_ha": [-0.0503, -0.0503],
  "homo_energy_ev": [-8.98, -8.98],
  "gap_ha": [0.2798, 0.2798],
  "smiles": "O=C1SCC/C1=N\\P",
  "e_above_lowest_kcal_mol": 56.3
}

=====

(1)
ORCA calculation (ωB97M-V/def2-TZVPD) on 5 unconnected molecules or ions with the total composition C43H75Cl2N2O12 at a distorted geometry.

Structure (XYZ):
```
134
C43H75Cl2N2O12, DFT ωB97M-V/def2-TZVPD
C 1.809 4.917 4.851
C 0.562 5.244 4.429
C -0.187 4.547 3.376
C -1.575 4.429 3.497
C -2.320 4.990 4.675
O -2.745 6.093 4.675
O -2.503 4.102 5.668
C -1.759 4.415 6.875
C -2.312 3.593 8.021
C -3.824 3.913 8.195
N -4.623 2.961 7.396
C -2.279 3.745 2.509
C -1.620 3.184 1.435
C -2.452 2.432 0.463
Cl -3.132 3.270 -0.890
C -2.692 1.133 0.661
C -2.161 0.359 1.844
Cl -3.646 0.236 -0.455
N -0.273 3.306 1.307
C 0.468 2.682 0.184
C 0.125 3.214 -1.219
C -0.237 2.069 -2.169
C 0.848 1.001 -2.263
~~~

Ok that’s 0,80 - 4,28€ currently. Most machines I saw were around 1 - 2€ a draw. So it’s expensive no matter where you are...

Does anyone know how much a draw costs in Japan? I always feel like it’s way to much if I come around one here...

The void strikes again...

September 30. Final Fantasy XV.

I have no experience with automatic cars so pardon my question, but what about hand brakes? Do automatic don’t have one? Or is this the equvalent of the park position?

I’d say import from Europe cause it’s around 15-30€ here, but yay for region lock...

I admit there were some few parts I liked a bit more than the movie version. Vegeta yelling my Bulma or Gotenks’ longer scene with Berus for example. But the fighting? Not really. To much chatting in between, like always, that made the fight too fragmented. And the animation had some real lows during the Berus arc.

Have a look at press day gamescom... But of course it’s changing as there are more and more people interested in gaming and so are working in the industry.

Ah I think I got bombared with trailers of that on Crunchyroll some time ago. Looked interesting though.

Can someone tell me from where I know the opening song...? I just can’t remember.

I rather feel like he got some character development. Beeing arms crossed grumpy all the time also gets boring. And I like his intercation with Trunks, that was basically non existent in DBZ.

Actually just skip the movie remake episodes but watch the fillers. Then watch everything from 28 onwards.

Just wanted to tell people that start watching with the current episode to watch the last 3 as well. It’s a small filler story but it’s funny and I like that Vegeta is finally acting like a parent.

Land of beer and bread aka Germany.

I went with a group of WoW players except one that was only exposed to WC3 and we all liked it. Maybe it's because we're European...? No really are European reviews more positive? So far I see no real difference, every review I read was kinda meh rating.